The Written Record - Initiation into Magic

Original Magic: The Rituals and Initiations of the Persian Magi - Stephen E. Flowers Ph.D. 2017

The Written Record
Initiation into Magic



The act of keeping a record of your daily initiatory work is important on many fronts. It makes you consciously aware of the progress you make and the steadiness of your effort. This is not merely a passive record but an active tool of initiation or magical training. Record your results each day immediately after closing your daily ritual work. Record the date and time of work along with any meditative insights, the quality of the performance, problems, and so forth. You can and should also write in this book any other important ideas you have throughout the course of the day, and especially perhaps in the evening just before going to sleep.

The first role of this document is, of course, the recording of what you did and how well you did in the effort of daily work. Obviously any unusual events or phenomena should be recorded. Any insights or realizations that occur to you based on the mediation of the day should also be written down. Again, these meditations are acts of synthesis wherein you bring together what you are learning of Mazdan teachings and the practical and experiential work that occurs during the daily curriculum of magical training.

Crystal structures, as found in the file:
____________
Record 1
The following is a DFT calculation (PBE) of crystalline Ca2P7Ir12 at its relaxed geometry.

total magnetization: 0.0 μB/cell
energy relative to the elements: -0.59 eV/atom
energy above the lowest structure with this stoichiometry: 0.00 eV/f.u.

```
Ca2P7Ir12
1.0
-4.6734 -8.1570 1.9160
3.6771 1.4834 -8.7365
3.3922 -1.6750 1.1433
Ca P Ir
2 7 12
Cartesian
3.4322 -2.9835 -4.3300
-1.0364 -5.3650 -1.3472
1.6961 -0.8375 0.5717
2.7112 -1.4406 -6.8197
0.6996 -4.1580 -4.8323
1.7540 -0.8181 -3.0678
-0.3153 -6.9079 1.1425
1.6963 -4.1905 -0.8448
0.6419 -7.5304 -2.6094
-0.0086 -2.3824 -0.1308
-0.3952 -6.1905 -4.5625
-2.7825 -7.4838 0.6259
2.4044 -5.9661 -5.5464
2.7911 -2.1580 -1.1147
5.1783 -0.8647 -6.3031
2.8136 -0.0400 -4.9727
1.7140 -3.5293 -6.8221
0.7109 -2.8838 -2.9002
-0.4178 -8.3085 -0.7045
0.6818 -4.8192 1.1449
1.6849 -5.4647 -2.7770
```

---

Record 2
The following is a DFT calculation (PBE) of crystalline Rb2ReAsCl6 at its relaxed geometry.

total magnetization: 3.5 μB/cell
total DFT energy (no corrections): -3.8179 eV/atom

```
Rb2ReAsCl6
1.0
-4.2631 -3.2810 4.7319
5.2311 0.2537 4.8888
-1.4996 3.7322 6.6606
Re As Rb Cl
1 1 2 6
Cartesian
0.0000 0.0000 0.0000
0.4840 -1.5136 4.8103
-2.6393 -0.5312 8.1014
2.1078 1.2361 8.1799
-0.6915 1.5952 5.9068
0.1600 -0.8903 10.3744
0.2324 -0.7267 2.3094
0.7357 -2.3006 7.3113
-1.9841 -2.4325 4.7695
2.9521 -0.5947 4.8511
```


Entry 1:
DFT (GGA-PBE) results for ZrTl2VNi after structural relaxation.

For the formation energy, the calculation gives 0.835 eV per atom.

The structure belongs to space group P4/mmm (No. 123); the cell edges are 5.113, 5.113 and 4.302 Å and the angles 90.00°, 90.00° and 90.00°. The asymmetric unit holds Zr at (0.000, 0.000, 0.000), Tl at (0.000, 0.500, 0.500), V at (0.500, 0.500, 0.500) and Ni at (0.500, 0.500, 0.000).

---

Entry 2:
DFT (GGA-PBE) results for Nb2Zn2Pd after structural relaxation.

For the formation energy, the calculation gives -0.043 eV per atom.

The structure belongs to space group P4/mbm (No. 127); the cell edges are 6.520, 6.520 and 3.823 Å and the angles 90.00°, 90.00° and 90.00°. The asymmetric unit holds Nb at (0.167, 0.333, 0.000), Zn at (0.134, 0.634, 0.500) and Pd at (0.000, 0.000, 0.500).

---

Entry 3:
DFT (GGA-PBE) results for BaSrLa2 after structural relaxation.

For the formation energy, the calculation gives 0.205 eV per atom.

The structure belongs to space group P4/mmm (No. 123); the cell edges are 3.886, 3.886 and 11.935 Å and the angles 90.00°, 90.00° and 90.00°. The asymmetric unit holds Ba at (0.000, 0.000, 0.000), Sr at (0.000, 0.000, 0.500) and La at (0.500, 0.500, 0.252).

---

Entry 4:
DFT (GGA-PBE) results for UAsPdSe after structural relaxation.

As for the formation energy (no corrections): -2.860 eV per formula unit.
____________

Every entry should have a similar format so that the record can be reviewed easily. Here are two example entries from my Rûznevesht. The first is taken from an early phase of my own working of this system, the other from later on in the process.

These crystal structures were left in the text by mistake
┌──
No. 1
Ba2Zn3Ag4Pb, optimized geometry, DFT PBE-GGA; calculated total energy = -2.476 eV/atom; total magnetic moment = 0.00 μB per cell
1.0
4.718 0.000 0.000
0.000 4.718 0.000
0.000 0.000 11.386
Ba Zn Ag Pb
2 3 4 1
Direct
0.000 0.500 0.241 Ba
0.500 0.000 0.759 Ba
0.000 0.500 0.884 Zn
0.500 0.000 0.116 Zn
0.500 0.500 0.500 Zn
0.000 0.000 0.000 Ag
0.000 0.500 0.649 Ag
0.500 0.000 0.351 Ag
0.500 0.500 0.000 Ag
0.000 0.000 0.500 Pb



No. 2
BaAg2Pd, optimized geometry, DFT PBE-GGA; offset from the most stable computed form = 0.000 eV/f.u.; total magnetic moment = 0.00 μB per cell
1.0
16.838 0.000 0.000
0.000 7.925 0.000
0.000 0.000 6.028
Ba Ag Pd
8 16 8
Direct
0.108 0.250 0.246 Ba
0.139 0.750 0.034 Ba
0.361 0.250 0.534 Ba
0.392 0.750 0.746 Ba
0.608 0.250 0.254 Ba
0.639 0.750 0.466 Ba
0.861 0.250 0.966 Ba
0.892 0.750 0.754 Ba
0.046 0.065 0.716 Ag
0.046 0.435 0.716 Ag
0.210 0.558 0.554 Ag
0.210 0.942 0.554 Ag
0.290 0.058 0.054 Ag
0.290 0.442 0.054 Ag
0.454 0.565 0.216 Ag
0.454 0.935 0.216 Ag
0.546 0.065 0.784 Ag
0.546 0.435 0.784 Ag
0.710 0.558 0.946 Ag
0.710 0.942 0.946 Ag
0.790 0.058 0.446 Ag
0.790 0.442 0.446 Ag
0.954 0.565 0.284 Ag
0.954 0.935 0.284 Ag
0.069 0.750 0.517 Pd
0.189 0.250 0.781 Pd
0.311 0.750 0.281 Pd
0.431 0.250 0.017 Pd
0.569 0.750 0.983 Pd
0.689 0.250 0.719 Pd
0.811 0.750 0.219 Pd
0.931 0.250 0.483 Pd



No. 3
BaAg3Pd, optimized geometry, DFT PBE-GGA; offset from the most stable computed form = 7.673 eV/f.u.; total magnetic moment = 0.00 μB per cell
1.0
6.026 0.000 0.000
0.000 6.026 0.000
0.000 0.000 6.026
Ba Ag Pd
1 3 1
Direct
0.000 0.000 0.000 Ba
0.000 0.000 0.500 Ag
0.000 0.500 0.000 Ag
0.500 0.000 0.000 Ag
0.500 0.500 0.500 Pd



No. 4
Ba2AgPd, optimized geometry, DFT PBE-GGA; offset from the most stable computed form = 0.000 eV/f.u.; total magnetic moment = 0.00 μB per cell
1.0
6.610 0.000 0.000
0.000 4.861 0.000
-3.219 0.000 8.543
Ba Ag Pd
4 2 2
Direct
0.221 0.250 0.436 Ba
0.231 0.250 0.925 Ba
0.769 0.750 0.075 Ba
0.779 0.750 0.564 Ba
0.359 0.750 0.216 Ag
0.641 0.250 0.784 Ag
0.368 0.750 0.716 Pd
0.632 0.250 0.284 Pd



No. 5
Ba5Ag2Pd, optimized geometry, DFT PBE-GGA; calculated total energy = -2.844 eV/atom; total magnetic moment = 0.00 μB per cell
1.0
9.893 -3.970 0.000
9.893 3.970 0.000
-1.147 0.000 8.845
Ba Ag Pd
10 4 2
Direct
0.078 0.922 0.750 Ba
0.136 0.292 0.307 Ba
0.292 0.136 0.807 Ba
0.293 0.512 0.078 Ba
0.488 0.707 0.422 Ba
0.512 0.293 0.578 Ba
0.707 0.488 0.922 Ba
0.708 0.864 0.193 Ba
0.864 0.708 0.693 Ba
0.922 0.078 0.250 Ba
0.102 0.696 0.427 Ag
0.304 0.898 0.073 Ag
0.696 0.102 0.927 Ag
0.898 0.304 0.573 Ag
0.000 0.500 0.000 Pd
0.500 0.000 0.500 Pd



No. 6
Ba6Ag2Pd, optimized geometry, DFT PBE-GGA; calculated total energy = -2.754 eV/atom; total magnetic moment = 0.00 μB per cell
1.0
7.925 0.000 0.000
0.000 8.890 0.000
-7.566 0.000 11.843
Ba Ag Pd
12 4 2
Direct
0.098 0.041 0.247 Ba
0.098 0.459 0.747 Ba
0.233 0.687 0.070 Ba
0.233 0.813 0.570 Ba
0.392 0.174 0.065 Ba
0.392 0.326 0.565 Ba
0.608 0.674 0.435 Ba
└──
Here the text continues

A. 20. Bahram: Khordâd—Âtar. 8:00. Well done. Breaker of resistance. Resistance is constant in the world. It must be constantly broken. It is broken with constantly applied strength. Every moment of every day that strength is applied, resistance is broken. We are encouraged as we feel resistance being broken.

B. 19. Farvardîn: Dae—Âtar. 22:00. Excellent. Magic is not sorcery. Sorcery is motivated by the druj. Magic is communication with the fravashi, the development of the fravashi, acting from within the fravashi, which is always true. Magic is what you do as you enter the pantheon. Insight: The position of the sun at the moment of birth orients the soul to eight other points in the circle of 360 degrees, each 40 degrees separate from the other, forming a nine-pointed star made up of three interlocking triangles. This forms an esoteric reading of the soul. [Lord Wisdom sows more seed than the gardener can harvest.]

Note that the number, name, and significance of the day is recorded along with the word Âtar, meaning that the work was done in the presence of an actual flame. The time of day is also given. This is followed by notes on the quality of the work: Were the manthras performed well and smoothly with good awareness and concentration? To this is appended any thoughts or reflections from a meditative perspective. Later in the day, other notes from readings may be added. This type of daily record is kept for at least one year during the initiatory process.